Even though this study protocol is dated 2013, it’s worth a mention now because the International Society for Nutritional Psychiatry Research just posted this on the ISNPR facebook page.
Recruitment for this important ‘world first’ trial is finally complete (it is hoped that results will be published in late 2015/early 2016)
It’s very exciting! And don’t you just love the name: the “SMILES” trial!
Adrienne O’Neil, Michael Berk, Catherine Itsiopoulos, David Castle, Rachelle Opie, Josephine Pizzinga, Laima Brazionis, Allison Hodge, Cathrine Mihalopoulos, Mary Lou Chatterton, Olivia M Dean and Felice N Jacka.
BMC Psychiatry 2013, 13:114 doi:10.1186/1471-244X-13-114
The electronic version of this article is the complete one and can be found online at: http://www.biomedcentral.com/1471-244X/13/114
© 2013 O’Neil et al.; licensee BioMed Central Ltd.
Despite increased investment in its recognition and treatment, depression remains a substantial health and economic burden worldwide. Current treatment strategies generally focus on biological and psychological pathways, largely neglecting the role of lifestyle. There is emerging evidence to suggest that diet and nutrition play an important role in the risk, and the genesis, of depression. However, there are limited data regarding the therapeutic impact of dietary changes on existing mental illness. Using a randomised controlled trial design, we aim to investigate the efficacy and cost-efficacy of a dietary program for the treatment of Major Depressive Episodes (MDE).
One hundred and seventy six eligible participants suffering from current MDE are being randomised into a dietary intervention group or a social support group. Depression status is assessed using the Montgomery–Asberg Depression Rating Scale (MADRS) and Structured Clinical Interview for Diagnostic and Statistical Manual of Mental Disorders (Non Patient Edition) (SCID-I/NP). The intervention consists of 7 individual nutrition consulting sessions (of approximately 60 minutes), delivered by an Accredited Practising Dietitian (APD). Sessions commence within one week of baseline assessment. The intervention focuses on advocating a healthy diet based on the Australian Dietary Guidelines and the Dietary Guidelines for Adults in Greece. The control condition comprises a befriending protocol using the same visit schedule and length as the diet intervention. The study is being conducted at two locations in Victoria, Australia (a metropolitan and regional centre). Data collection occurs at baseline (pre-intervention), 3-months (post-intervention) and 6– months. The primary endpoint is MADRS scores at 3 months. A cost consequences analysis will determine the economic value of the intervention.
If efficacious, this program could provide an alternative or adjunct treatment strategy for the management of this highly prevalent mental disorder; the benefits of which could extend to the management of common co-morbidities including cardiovascular disease (CVD), obesity, and type 2 diabetes.
Although the abstract doesn’t mention anxiety, when you read the full study protocol you’ll see these secondary outcomes and aims too:
Secondary outcomes include; depressive and anxiety symptoms, functioning, quality of life, and changes in targeted dietary behaviours, cardiovascular and metabolic risk. A secondary aim is to evaluate the cost efficacy of the intervention from a societal perspective at 3 months.
When I posted this on Facebook, here is a very positive comment I received:
[Data records from another source follow]
- - -
! ErTm4Lu2Ni2S2 | the Open Quantum Materials Database | GGA-PBE | relaxed; values from VASP
&SYSTEM
  ibrav = 0, nat = 11, ntyp = 5
/
ATOMIC_SPECIES
Er 167.26 Er.upf
Tm 168.93 Tm.upf
Lu 174.97 Lu.upf
Ni 58.69 Ni.upf
S 32.06 S.upf
CELL_PARAMETERS angstrom
-1.853 7.272 4.504
1.853 -7.272 4.504
1.853 7.272 -4.504
ATOMIC_POSITIONS angstrom
Er 0.000 0.000 0.000
Tm 1.853 -1.971 2.256
Tm 1.853 1.971 2.256
Tm 1.853 5.514 0.856
Tm 0.000 1.758 5.360
Lu 1.853 2.683 -1.014
Lu 0.000 4.589 3.491
Ni 0.000 3.478 0.756
Ni 0.000 11.065 0.756
S 0.000 0.000 3.116
S 0.000 7.272 2.260
! * total magnetization: 0.0 μB per formula unit
! * total DFT energy (no corrections): -60.5 eV for the cell shown



! Er2TmLu4Ni2S2 | the Open Quantum Materials Database | GGA-PBE | relaxed; values from VASP
&SYSTEM
  ibrav = 0, nat = 11, ntyp = 5
/
ATOMIC_SPECIES
Er 167.26 Er.upf
Tm 168.93 Tm.upf
Lu 174.97 Lu.upf
Ni 58.69 Ni.upf
S 32.06 S.upf
CELL_PARAMETERS angstrom
-1.850 7.257 4.511
1.850 -7.257 4.511
1.850 7.257 -4.511
ATOMIC_POSITIONS angstrom
Er 0.000 1.753 0.000
Er 0.000 12.760 0.000
Tm 0.000 0.000 3.657
Lu 1.850 -2.695 2.645
Lu 1.850 2.695 2.645
Lu 0.000 5.307 1.398
Lu 0.000 9.207 1.398
Ni 1.850 3.802 -0.083
Ni 0.000 3.454 4.428
S 1.850 0.000 1.437
S 0.000 0.000 6.750
! * total magnetization: 0.0 μB per formula unit
! * total DFT energy (no corrections): -60.7 eV for the cell shown



! ErLuScSi3Ni | the Open Quantum Materials Database | GGA-PBE | relaxed; values from VASP
&SYSTEM
  ibrav = 0, nat = 14, ntyp = 5
/
ATOMIC_SPECIES
Er 167.26 Er.upf
Lu 174.97 Lu.upf
Sc 44.96 Sc.upf
Si 28.09 Si.upf
Ni 58.69 Ni.upf
CELL_PARAMETERS angstrom
5.037 -2.050 0.000
5.037 2.050 0.000
-4.708 0.000 12.309
ATOMIC_POSITIONS angstrom
Er -0.954 0.000 5.163
Er 6.320 0.000 7.146
Lu -3.869 0.000 10.822
Lu 9.234 0.000 1.487
Sc -0.975 0.000 8.968
Sc 6.341 0.000 3.342
Si -0.819 0.000 11.745
Si 1.875 0.000 5.180
Si 3.337 0.000 3.222
Si 2.029 0.000 9.088
Si 3.491 0.000 7.129
Si 6.185 0.000 0.565
Ni 2.096 0.000 1.179
Ni 3.270 0.000 11.130
! * total magnetization: 0.0 μB per formula unit
! * polymorph energy (0 for the lowest one): 0.000 eV per atom
! * total DFT energy (no corrections): -86.3 eV for the cell shown



! ErLuScSi3Ni | the Open Quantum Materials Database | GGA-PBE | relaxed; values from VASP
&SYSTEM
  ibrav = 0, nat = 14, ntyp = 5
/
ATOMIC_SPECIES
Er 167.26 Er.upf
Lu 174.97 Lu.upf
Sc 44.96 Sc.upf
Si 28.09 Si.upf
Ni 58.69 Ni.upf
CELL_PARAMETERS angstrom
5.009 -2.047 0.000
5.009 2.047 0.000
-4.500 0.000 12.350
ATOMIC_POSITIONS angstrom
Er 1.476 0.000 2.751
Er 4.043 0.000 9.599
Lu -1.405 0.000 4.673
Lu 6.924 0.000 7.677
Sc -3.165 0.000 11.398
Sc 8.684 0.000 0.952
Si 1.596 0.000 5.635
Si -0.346 0.000 11.472
Si 1.121 0.000 9.491
Si 4.398 0.000 2.858
Si 5.865 0.000 0.877
Si 3.923 0.000 6.715
Ni -0.156 0.000 7.400
Ni 5.675 0.000 4.950
! * total magnetization: 0.0 μB per formula unit
! * polymorph energy (0 for the lowest one): 0.007 eV per atom
- - -
[End of the data records]
Quote from the article: “A dietary intervention for depression as an adjunct to standard care, has the potential to be cost-effective, highly acceptable and widely applicable. This approach may lead to improved outcomes for individuals with MDE and reduce the public health burden of psychiatric illness.” This is very encouraging, from someone who has suffered from depression my entire life. I’ve had to be my own advocate, especially with the diet connection and finding a way to stay off medications with difficult side effects. Thanks for sharing!
Someone else made a comment about the amount of protein in the study:
17% protein in the study?
This was my response:
Yes it is rather low and the study includes low fat dairy and whole grains too – but it’s a start – it’s a wonderful start!
We can hope that the next step after this one has been published is to do more like this and hopefully have them include more protein (and discuss the quality of the protein), include more full fat dairy and exclude gluten and even one that excludes all grains.
The long term goal will be to dietary interventions as part of the standard of treatment for anxiety, depression and other mental health disorders.
Dr. Felice Jacka talked about this study and the long term goals during our interview on season 1 of the Anxiety Summit: The Research – Food to prevent and treat anxiety and depression?
This is beyond exciting and we so appreciate the researchers and study participants!
How excited are you to see this research being done?
Yes, a start, but it’s disappointing that a study is being funded that doesn’t even make use of the plethora of research on the gut brain connection, thereby implementing a science-based diet that focuses on healing the gut. I am proof that a gut healing diet (GAPS) cures depression!
Hi Hilary
Thanks for sharing and so pleased to hear that you’ve had success with the GAPS diet for your depression!
We all know how important diet is for anxiety and depression and we also know how powerful special diets like the GAPS, FODMAPs, gluten-free, grain-free diets etc. It’s going to take awhile for these diets to be studied. My understanding is that they’ll do the broad “real food/all-foods” study and then drill down and do more specific studies later, building on prior studies.
This is my big concern with something like this first one – what if all the depressed people in the study have gluten issues (and it’s affecting their mood) and the results are not favorable.
Hi Trudy
Three days after I stopped eating grains, my chronic depression lifted and has never returned (it’s three years later now). I had been a vegetarian most of my life, discovered in my early 50s that I was gluten intolerant, went off grains, started banting (Cape Town craze!)and have never felt better. Gut, mood, bones, energy, skin … all better!
What a huge change for you to make and what a beautiful outcome! This is truly wonderful to hear and it warms my heart!
I’m very familiar with banting and the wonderful work of Professor Tim Noakes. My darling sister actually gave me a copy of his great recipe book “The Real Meal Revolution.” For other readers I’ll just share it’s similar to Paleo but with dairy included.
Your story is very similar to mine except that for me it was anxiety that resolved. I also changed to a combination of a Paleo/banting/SCD diet and saw huge benefits. I had also been a vegetarian but only for a few years but I suspect the processed non-organic/GMO soy products were a big issue for me. I needed additional support in the way of GABA, tryptophan, zinc, B6 and other nutrients and still continue with some of the basics.
I’m curious if you had been on medications for the chronic depression? Many feel their anxiety or depression is so severe that diet couldn’t possibly help!
I’ll pass this on to Felice. I know it’s a more evolved eating plan than they are looking for as far as media coverage for this particular research but stories like this contribute to the dialogue and will influence future research as multiple and more evolved dietary approaches are considered. As a nutritionist I see successes like this all the time but we do need the research to support this if it’s to become mainstream and the standard of care.
Thanks for sharing! Your story offers so much hope!
Hi again Trudy and thank you for your warm and encouraging reply.
I don’t like relying on pharmaceuticals so I didn’t take antidepressants. Thank goodness as I have read Kelly Brogan’so book and seen how hard it can be to get off them.
I also found that as soon as I started eating a higher fat, lower carb diet my anxiety decreased hugely. No more insulin/adrenalin ups and downs. No more hypoglycaemic shakes that would send me snacking!
I also practise HeartMath regularly and noticed in the biofeedback how much the dietary changes helped me to become coherent and sustain that state.
Thanks so much for all you do to help so many people live less anxious lives.
Hi Alice
This is so wonderful! Love HeartMath too and love your work and the strong connection to nature! so thanks for the work you do!
And everyone needs to read Kelly Brogan’s wonderful book “A Mind of Your Own” before considering SSRIs.
I’d love to get these comments over onto the blog I’ll be sharing with Felice Jacka https://www.everywomanover29.com/blog/smiles-study/ – I’ll just copy them over to the comments there